• Input:
- - -
Structure and computed powder diffractogram of Pm2Y7Sc2 (a cell relaxed with GGA-PBE; Cu Ka).
No peak broadening, texture or thermal motion is included.

Largest 8 diffraction maxima, sorted by position, 2θ = 10–90°:
2θ 15.23, I = 21.2
2θ 26.15, I = 18.1
2θ 26.40, I = 20.0
2θ 29.42, I = 20.5
2θ 30.74, I = 35.3
2θ 31.82, I = 60.5
2θ 32.65, I = 100.0
2θ 34.36, I = 89.3

a = 3.565 Å, b = 9.913 Å, c = 10.992 Å
α = 67.91°, β = 80.68°, γ = 79.72°
Fractional coordinates of all 11 atoms:
Pm1 0.005 0.287 0.206
Pm2 0.995 0.713 0.794
Y1 0.156 0.323 0.869
Y2 0.329 0.965 0.876
Y3 0.336 0.425 0.403
Y4 0.500 0.000 0.500
Y5 0.664 0.575 0.597
Y6 0.671 0.035 0.124
Y7 0.844 0.677 0.131
- - -

• Work order:
Please print every line further up that contains the word "Y4".

• Completed:
Y4 0.500 0.000 0.500